From 3D-printed pizza to asteroid mining, we have hurtled at pace to readily adopt new technologies that change the way we behave, live, how we do business and the business we do.
Many of us make buying choices via the super computer in our pocket, transactions take place without a word being exchanged between customer and retailer. And if they don’t like something, the consumer of your service or product can tell the world their opinion in 280 characters or via various review sites. Data protection, cyber security, digital disruption are now common parlance in the boardroom.
Open banking, artificial intelligence, watches that monitor our health; there are so many incredible, innovative businesses emerging that not even the most enlightened futurologist could have envisaged at the turn of this century. Tech has, of course, made doing business easier too. Armed with our trusty smartphone, our office can be anywhere from the beach to our kids’ sand pit.
And, as if that wasn’t enough plate spinning for the modern business person, along comes Brexit and now you’re on a tightrope with no safety net.
As business confidence wavers under the uncertainty and dire warnings of chaos and disruption, the message is clear. Hope for the best, but prepare for the worst. Yes, it’s a challenging time for Scotland’s businesses – uncertainty exists all around us - but it’s also a period of opportunity.
Back in 2008/2009, the financial crash left us with tinnitus, but it also fuelled Scotland’s culture of innovation, entrepreneurialism and resilience. I, for one, am confident that Scotland’s reputation for ingenuity will continue to prevail.
Nowadays, Scotland is far better equipped to support start-up and growth businesses than back then.
By recognising how important it is not to think of ‘business’ as a homogenous blob, services now offer bespoke support to growth and start-up opportunities. And yes, developments in digital aid this approach, however there is no substitute for the personal touch.

Business Gateway’s support has been invaluable as the project is multifaceted.Ray Clynick Jnr, OroGin Distilling Company
_The entry is interrupted by molecular data_
=====
1.
Density functional theory data (ωB97M-V/def2-TZVPD) for a cluster of 2 separate species, HN3O2 in total.

Geometry as XYZ:
```
6
Properties=species:S:1:pos:R:3
O -1.811 -0.632 0.421
N -0.782 -1.053 0.044
O 0.213 -0.975 1.012
H 1.007 -1.048 0.406
N 0.722 2.297 -0.624
N 0.651 1.411 -1.259
```

strongest force on any atom: 0.0302 hartree/bohr
orbital gap: 10.82 eV
SMILES: O=NO.N#N
E_HOMO: -10.64 eV
charge: 0
LUMO energy: 0.18 eV
calculated total energy: -8579.5562 eV
molecular weight: 75.03 g/mol
energy relative to the best compared isomer or geometry (same formula, charge and spin): 0.1 kcal per mole

=====

2.
Density functional theory data (ωB97M-V/def2-TZVPD) for a cluster of 2 separate species, HN3O3 in total.

Geometry as XYZ:
```
7
Properties=species:S:1:pos:R:3
N -1.016 1.036 -0.481
N 0.215 0.520 -0.552
N -1.905 0.319 0.095
O 1.938 1.873 0.498
O -1.780 -0.840 0.676
O -3.110 0.786 0.026
H 0.238 -0.159 0.141
```

strongest force on any atom: 0.0780 hartree/bohr
orbital gap (alpha / beta): 5.95 / 6.85 eV
E_HOMO (alpha / beta): 1.51 / 0.61 eV
charge: -2
LUMO energy (alpha / beta): 7.46 / 7.46 eV
calculated total energy: -10619.1292 eV
molecular weight: 91.03 g/mol
energy relative to the best compared isomer or geometry (same formula, charge and spin): 50.8 kcal per mole

=====

3.
Density functional theory data (ωB97M-V/def2-TZVPD) for a cluster of 2 separate species, HN3O4 in total.

Geometry as XYZ:
```
8
Properties=species:S:1:pos:R:3
N 1.950 -0.772 -0.181
N 0.073 -0.009 0.652
N -0.281 1.139 -0.070
O 1.704 -1.855 -0.323
O 0.492 2.056 -0.002
O -1.457 1.232 -0.559
O -0.780 -1.084 0.375
H -1.700 -0.707 0.108
```

strongest force on any atom: 0.0633 hartree/bohr
orbital gap (alpha / beta): 8.75 / 7.16 eV
E_HOMO (alpha / beta): -10.11 / -9.32 eV
charge: 0
LUMO energy (alpha / beta): -1.36 / -2.17 eV
calculated total energy: -12667.9281 eV
molecular weight: 107.03 g/mol
energy relative to the best compared isomer or geometry (same formula, charge and spin): 64.3 kcal per mole

=====

4.
Density functional theory data (ωB97M-V/def2-TZVPD) for an isolated molecule of HN3O4S.

Geometry as XYZ:
```
9
Properties=species:S:1:pos:R:3
H -0.914 -0.166 -0.180
N 0.017 0.114 -0.051
N 0.611 -0.956 0.036
S 2.336 -0.887 0.050
O 2.652 -1.383 -1.271
O 2.796 -1.360 1.302
N 2.859 1.219 0.046
O 3.123 1.535 -1.056
O 2.872 1.707 1.095
```

strongest force on any atom: 0.0827 hartree/bohr
orbital gap: 9.28 eV
SMILES: [H]/N=N/S(=O)(=O)[N+](=O)[O-]
E_HOMO: -10.18 eV
charge: 0
LUMO energy: -0.90 eV
calculated total energy: -23505.3350 eV
molecular weight: 139.09 g/mol
energy relative to the best compared isomer or geometry (same formula, charge and spin): 77.4 kcal per mole

=====

5.
Density functional theory data (ωB97M-V/def2-TZVPD) for an isolated molecule of HN3O5.

Geometry as XYZ:
```
9
Properties=species:S:1:pos:R:3
O -3.280 -1.021 0.644
N -3.618 -0.065 0.108
O -4.519 0.409 -0.431
O -2.380 1.009 -0.077
N -1.153 0.393 -0.044
O -1.066 -0.745 -0.434
=====

People run businesses. And different people have different strengths and talents that make them successful. Equally, there are likely to be areas in business management that they could use some pointers. Business Gateway’s 170+ advisors can help with that. Their key skill is to listen, to understand and ask questions in order to connect a business to online resources, workshops or external services ready to help make a difference.
Back to 2008, the hangover from the financial crisis was lengthy. And as ever, necessity became the mother of invention. Gin was one product that was being re-invented into a multi-million pound sector.
The need for quicker cash flow meant that traditional distillers had to adapt. A speedier production time from distillation to shelf, coupled with the rise in consumers’ growing interest in authenticity and provenance, gave way to the gin fever we know and love today.
Botanicals in gin creation offer the vital ‘story to tell to sell’, and Scotland has plenty to offer in this field. A sense of place, hand-crafted methods, quality ingredients - rooted in a historic excellence in distilling spirits.
So when Ray Clynick Jnr completed his Master’s degree in Chemical Biology, he decided to follow a slightly different path and instead make gin. With support from Business Gateway, Ray started work to set up a distillery at Dalton, Dumfriesshire.
The OroGin Distilling Company is a family venture, which also involves Ray’s dad, Raymond, and mum Jacquie. By January 2017, the trio was preparing to launch the company’s premium Oro and Oro V spirits in the UK and overseas.
“Business Gateway’s support has been invaluable as the project is multifaceted,” says Ray. “Recruitment has been a big focus so far, with five people employed by the gin distillery in our first year. In the longer term, the Tasting Rooms, bar, visitor centre and Scandinavian barbecue hut will together call for another seven staff.
“Business Gateway identified employability support through the Dumfries and Galloway Employment Total Access Point programme. This connected us to the Regional Selective Assistance and Financial Assistance to Small Business funding to assist with the cost of specialist equipment and the creation of an e-commerce website. Furthermore, additional exporting and innovation support through Scottish Development International and Scottish Enterprise has taken us from strength to strength.”
With Dry January over for another year, I’d drink to that.
At a time when there has never been so much uncertainty in the business and political world, Business Gateway has more to offer businesses than ever. We’ve launched a new website where - amongst an abundance of resources - you’ll find help and support in terms of preparing for Brexit.
And with the launch of our new campaign - Missing Pieces – aims to encourage businesses to connect with us, and to explore how we can and will help growth businesses grow and new businesses start.
Over the past 10 years, Business Gateway has helped to establish more than 99,000 businesses which have created over 100,000 jobs.
We’re going to make the next 10 years even more integral to Scotland’s economic growth. No matter what the future holds.